A Type 1 Triple Play

Most small companies targeting a specific disease hook their fortunes to a single product or therapy. Islet Sciences (www.isletsciences.com) takes a decidedly different approach. Founder and CEO John Steel, a Type 1 himself for 30 years, is betting that his young business can pull off a diabetes triple play, with products devoted to early detection, immunotherapy, and islet encapsulation and transplantation.
In essence, the outcomes he seeks are diagnosing Type 1 diabetes probability well before we can do it today, slowing its progress once diagnosed, and giving patients a do-over by injecting new islets, harvested in vast quantities from pathogen-free pigs, and protected from immune system destruction by a novel encapsulation process.
Success on any one of the three fronts would catapult Islet Sciences from promising startup to Wall Street darling, an outcome Steel has already made possible by listing the company’s shares on NASDAQ (Symbol: ISLT). Bringing one, any two, or all three products to market could be a gigantic success, both financially and for the people each would serve. Here’s a recap of each, presented in order of market size from largest to smallest.
“The Yale Technology:” Early Diabetes Diagnosis
The best way to prevent disease is to stop it before it starts, the public health basis of inoculation against once-common illnesses such as smallpox or polio. In the developed world, all agree that such preventive medicine is a good idea, as shown by the battery of routine shots given to every child who receives regular medical care. We don’t have a preventive shot for Type 1 diabetes yet, but we are developing ways to identify markers of a potential diabetes diagnosis years before the condition manifests itself. Islet Sciences is hot on that trail.
A year ago, the company exclusively licensed patented diagnostic DNA technology, developed by scientists at Yale University, which detects and measures beta cell death. We all know that beta cells are destroyed by the body’s own immune system in Type 1 diabetes. What if we could forecast which people would suffer from attack years before it happened? Islet Sciences believes the licensed Yale technology holds a key to forewarning, because it identifies circulating DNA derived from the cell-destroying process long before the actual destruction starts. Where there’s smoke, there’s fire, according to the theory.
The Yale technology might give clinicians a way to noninvasively detect and measure the health of anyone’s beta cells. “An early diagnostic test is important,” Steel says.
The Yale technology might give clinicians a way to noninvasively detect and measure the health of anyone’s beta cells. “An early diagnostic test is important,” Steel says. With this DNA test we can take a blood or urine sample and tell people if their islet cells are dying months or years before they are diagnosed with diabetes. We envision this test as something that everyone in the country, and possibly in the world, would get because everyone would want to know if their beta cells are working well or not,” says Steel. It isn’t hard to imagine the therapeutic and financial success of a diagnostic test given to billions of people. The hope is that this new technology could lead to earlier treatment, slowing the actual processes that cause diabetes.
This is, potentially, Islet Sciences’ “killer App.” In addition to signing an exclusive licensing agreement with Winthrop University Hospital for the Yale technology, the company is currently in discussions with pharmaceutical manufacturers to bring this test to market. A proven diagnostic product is two to three years away, in a best-case scenario.
LSF: Putting Diabetes In Slow Motion
=====
Entry from the OMol25 dataset: a 2-piece molecular cluster, C5H12N3 overall (wB97M-V/def2-TZVPD).

relative energy (zero: lowest compared OMol25 entry of this formula, charge and spin)	289.89	kJ/mol
charge	+1
HOMO level	-11.61	eV

Cartesian coordinates (Å):
H -0.504 1.091 1.741
N -1.478 -0.668 2.622
N -0.512 -0.350 -1.716
N 1.829 0.000 1.043
C 0.735 -0.603 1.690
H -2.313 -0.713 2.056
H 0.102 -1.155 -1.622
C -0.398 0.028 1.992
H -0.439 1.762 -1.993
C 0.132 0.853 -2.114
C -1.713 -0.444 -1.287
H 1.959 -0.090 -2.607
H -2.311 0.448 -1.164
H 1.853 1.722 -2.916
H -2.073 -1.443 -1.077
H -1.740 -0.241 3.499
H 2.714 -0.418 1.274
H 0.938 -1.607 2.029
=====

While the diagnostic product might affect millions or even billions of people, the second step in Islet Sciences’ plan focuses on the millions of people in the U.S. currently using insulin therapy. To jump-start its entry into diabetes therapy, Islet Sciences acquired DiaKine Therapeutics, attracted by the biopharmaceutical company’s efforts to develop proprietary drugs that protect islet cells.
DiaKine’s most promising therapy is based on Lisofylline, or LSF, a synthetic molecule with novel anti-inflammatory properties. Stopping or reducing inflammation is important, because inflammation is what signals the immune system to send killer cells out to destroy insulin-secreting beta cells. LSF not only improves some aspects of cellular function, but also blocks other cells linked to beta cell destruction.
DiaKine and Islet Sciences already have an open Investigational New Drug application (IND) with the FDA for an injectable version of Lisofylline, and are in Phase II studies of an intravenously administered adjunct therapy to islet cell transplants.
Under its new ownership, DiaKine hopes to submit a New Drug Application to the FDA in 2014 for an orally administered version of Lisofylline to treat Type 1 diabetes, by stopping or slowing its destructive process. “We have data that show LSF is helpful to your heart and your nerves, and it rescues islet cells,” says Steel. Other compounds and drugs in DiaKine’s portfolio focus on beta cell protection. According to the company, LSF potentially could slow or halt the progress of newly-diagnosed Type 1 diabetes, treat or prevent insulin-dependent Type 2 diabetes, treat complications of diabetes such as peripheral neuropathy and retinopathy, and, of course, be an adjunct to islet transplantation.
End Game
Islet transplantation recipients, while small in number, are people with diabetes in dire need: they are at the stage where no conventional therapy helps them control the disease, and face certain death.
Of the three Islet Sciences products, Islet Science P™ will be the company’s first therapy to be tried in patients with diabetes. During the next year, it will be used in patients with end-stage kidney disease, a course of action recommended by the FDA. “We are going to the sickest diabetic patients and looking to rescue them first,” says Steel.
The two key areas impacting islet transplant availability, not to mention success, are the supply of islets, and the need for immune system suppression. Islet Sciences approaches the supply side through a relationship with the Spring Point Project, an FDA-approved facility for porcine tissue, so that the company can eventually supply all insulin-dependent patients with islet cell replacement therapy. The pigs raised by Spring Hope don’t live in a sty, but in a pathogen-free environment that allows harvesting of millions of islets that are very similar to those found in humans. Those old enough to remember that Banting and Best first secreted insulin by clamping the pancreas of dogs know that animal insulin has an honored place in diabetes therapy history. This is the newer, whiter, brighter version.
Islet Sciences P™ is encapsulated in a synthetic polymer using an alginate, or seaweed-derived “skin.” Alginates are widely used in many food products and the process is well understood.

Eventually, Steel believes, islet transplantation could be beneficial to all patients who are insulin-dependent. “If we can scale up what we do, this is something that everyone who takes insulin will want. It will make their disease management and clinical outcomes better. There’s strong evidence that if you can get normal glycemic control – without the ups and downs – you’re going to have a better health outcome.”
Islet Sciences sees its three technologies as being synergistic in the management of diabetes. “We see our technologies working this way: a person can have the DNA test, then use the drugs to slow down the diabetes, or get the islet replacement,” he says.
Islet Sciences has translated the research and developed or procured the technology. Now it’s working to get its technology and science into the hands of the clinicians who are diagnosing and treating patients. Will the triple play succeed? As all baseball fans know, they are rare, but completely possible. John Steel’s team is on the field, ready to pounce.